Excerpt =
'''
# 1
Density functional theory data (the ωB97M-V functional and the def2-TZVPD basis) for a structure of composition C20H50GaN2O9 at a distorted geometry.

Last column: Löwdin charge in e.
Geometry (Å):
C 4.9274 -0.8705 3.7435  -0.1273
O 5.7929 -0.6967 2.5652  -0.2695
C 5.0675 -0.1034 1.4260  -0.2358
C 5.6369 1.4250 1.2351  -0.2604
C 4.7719 2.3507 0.1814  -0.2940
Ga 3.6990 3.7050 1.3902  0.3418
O 4.9991 4.9065 2.1147  -0.3885
C 2.7396 2.5682 2.8695  -0.2742
O 1.2762 2.7195 2.8717  -0.2515
C 0.5914 1.5471 3.4392  -0.2281
O -0.5178 1.0199 2.6283  -0.1924
C -0.1769 0.9320 1.1999  -0.1547
C 1.0174 -0.1291 0.8318  -0.1642
O 0.5695 -0.8351 -0.4138  -0.1743
H 4.7038 -2.0082 3.9324  0.0867
H 3.9168 -0.2634 3.6772  0.0799
H 5.5710 -0.5091 4.6800  0.1012
H 5.3856 -0.7437 0.4704  0.1301
H 3.8977 -0.1891 1.4926  0.0884
H 6.7315 1.3155 0.7769  0.1073
H 5.7253 1.9775 2.2885  0.1073
H 5.5119 2.9357 -0.5123  0.0431
H 3.9948 1.7300 -0.4500  0.0348
H 2.6960 4.5773 0.5022  -0.0736
H 5.0853 4.7016 3.1089  -0.0081
H 3.2265 2.8613 3.8987  0.0714
H 3.0271 1.4522 2.6413  0.0297
H 1.3307 0.6702 3.7646  0.1350
H 0.1020 1.9168 4.4634  0.1456
H -1.1574 0.5302 0.6502  0.1373
H 0.0605 1.9681 0.6875  0.1460
H 2.0018 0.4575 0.5040  0.1208
H 1.2584 -0.9182 1.6616  0.1283
H 1.3612 -1.2369 -0.8794  0.1074
C -3.3737 2.3378 -4.3781  -0.1117
O -2.9121 1.2900 -5.2221  -0.1987
C -2.3611 1.7534 -6.4606  -0.2073
C -0.8339 1.5754 -6.4819  -0.2114
N -0.1724 2.5051 -5.5612  -0.0575
C 1.2367 2.1892 -5.3017  -0.1926
C 1.5650 0.8176 -4.6733  -0.2138
O 1.1324 0.6755 -3.3168  -0.1775
C -0.2395 0.3383 -3.1710  -0.0974
H -3.9654 1.8918 -3.5744  0.0901
H -2.5363 2.8731 -3.9251  0.0744
H -4.0103 3.0371 -4.9251  0.0833
H -2.6494 2.7883 -6.6805  0.1177
H -2.7907 1.1214 -7.2457  0.1151
H -0.4636 1.7513 -7.4981  0.1181
H -0.6240 0.5360 -6.2170  0.0955
H -0.6651 2.4999 -4.6719  0.0657
H 1.6057 2.9657 -4.6213  0.1225
H 1.7993 2.2998 -6.2368  0.1122
H 2.6571 0.7347 -4.6425  0.1187
H 1.2215 -0.0239 -5.2836  0.1043
H -0.5997 -0.3079 -3.9747  0.0877
H -0.8366 1.2441 -3.1042  0.0691
H -0.3613 -0.1960 -2.2216  0.0645
C -5.3288 -5.1636 1.3359  -0.1157
O -5.2210 -3.7885 0.9881  -0.1972
C -5.7611 -2.9040 1.9772  -0.2052
C -4.6392 -2.1462 2.7062  -0.2049
N -3.8669 -3.0380 3.5767  -0.0595
C -2.6077 -2.4602 4.0595  -0.1886
C -1.5575 -2.0385 3.0092  -0.2112
O -0.9561 -3.1322 2.3094  -0.1826
C -1.7320 -3.6368 1.2322  -0.0989
H -5.0999 -5.7583 0.4477  0.0886
H -4.6100 -5.4278 2.1148  0.0712
H -6.3409 -5.4122 1.6635  0.0832
H -6.4202 -3.4245 2.6823  0.1170
H -6.3733 -2.1733 1.4371  0.1170
H -5.0781 -1.3449 3.3111  0.1212
H -4.0055 -1.6893 1.9418  0.1000
H -3.6474 -3.8910 3.0688  0.0620
H -2.1490 -3.2183 4.7053  0.1162
H -2.8389 -1.6013 4.7013  0.1168
H -0.7394 -1.5541 3.5536  0.1144
H -1.9336 -1.2855 2.3090  0.0985
H -2.3027 -2.8556 0.7250  0.0900
H -2.3878 -4.4269 1.5887  0.0612
H -1.0507 -4.0910 0.5034  0.0900

* frontier orbital gap: 6.7173 eV
* charge: -1
* E_tot: -95327.45480 eV
* largest force on an atom: 2.92 eV/A



# 2
Density functional theory data (the ωB97M-V functional and the def2-TZVPD basis) for a structure of composition C20H50IInNO8 at a distorted geometry.

Last column: Löwdin charge in e.
Geometry (Å):
C 2.2162 -0.6926 3.8774  -0.1158
C 2.0618 0.8272 4.5581  -0.2391
O 2.1054 1.8254 3.4777  -0.2325
C 3.5214 2.1746 3.1314  -0.1681
C 3.9427 1.6736 1.6226  -0.3291
O 5.3852 1.4693 1.4193  -0.4448
In 5.9332 -0.5231 1.9625  0.3077
I 4.0056 -2.2343 0.7169  0.1099
N 5.7351 -0.7233 4.1213  -0.0823
C 6.5660 0.2114 4.7471  -0.2917
O 6.9861 1.2581 5.4768  -0.1021
H 3.1786 -0.6270 3.2029  -0.0226
H 2.3956 -1.5180 4.6915  0.0811
H 1.2762 -0.9145 3.2015  0.0852
H 0.9526 0.8424 4.9988  0.1096
H 2.8748 0.9669 5.3921  0.1217
H 4.2906 1.8450 3.9493  0.1125
H 3.5309 3.3675 3.0920  0.1282
H 3.5932 2.5375 0.8794  0.1178
H 3.3069 0.7188 1.3902  0.0538
H 7.6402 -0.9125 1.4268  -0.0860
C -0.2826 -2.1948 -2.7868  -0.0639
C 0.6174 -1.1014 -2.2336  -0.4981
C 2.0544 -1.2789 -2.6973  -0.0751
'''
To do =
Please find "-0.1642" and "charge: -1" in the notes above, and retype these two lines and those between.
Here it is =
C 1.0174 -0.1291 0.8318  -0.1642
O 0.5695 -0.8351 -0.4138  -0.1743
H 4.7038 -2.0082 3.9324  0.0867
H 3.9168 -0.2634 3.6772  0.0799
H 5.5710 -0.5091 4.6800  0.1012
H 5.3856 -0.7437 0.4704  0.1301
H 3.8977 -0.1891 1.4926  0.0884
H 6.7315 1.3155 0.7769  0.1073
H 5.7253 1.9775 2.2885  0.1073
H 5.5119 2.9357 -0.5123  0.0431
H 3.9948 1.7300 -0.4500  0.0348
H 2.6960 4.5773 0.5022  -0.0736
H 5.0853 4.7016 3.1089  -0.0081
H 3.2265 2.8613 3.8987  0.0714
H 3.0271 1.4522 2.6413  0.0297
H 1.3307 0.6702 3.7646  0.1350
H 0.1020 1.9168 4.4634  0.1456
H -1.1574 0.5302 0.6502  0.1373
H 0.0605 1.9681 0.6875  0.1460
H 2.0018 0.4575 0.5040  0.1208
H 1.2584 -0.9182 1.6616  0.1283
H 1.3612 -1.2369 -0.8794  0.1074
C -3.3737 2.3378 -4.3781  -0.1117
O -2.9121 1.2900 -5.2221  -0.1987
C -2.3611 1.7534 -6.4606  -0.2073
C -0.8339 1.5754 -6.4819  -0.2114
N -0.1724 2.5051 -5.5612  -0.0575
C 1.2367 2.1892 -5.3017  -0.1926
C 1.5650 0.8176 -4.6733  -0.2138
O 1.1324 0.6755 -3.3168  -0.1775
C -0.2395 0.3383 -3.1710  -0.0974
H -3.9654 1.8918 -3.5744  0.0901
H -2.5363 2.8731 -3.9251  0.0744
H -4.0103 3.0371 -4.9251  0.0833
H -2.6494 2.7883 -6.6805  0.1177
H -2.7907 1.1214 -7.2457  0.1151
H -0.4636 1.7513 -7.4981  0.1181
H -0.6240 0.5360 -6.2170  0.0955
H -0.6651 2.4999 -4.6719  0.0657
H 1.6057 2.9657 -4.6213  0.1225
H 1.7993 2.2998 -6.2368  0.1122
H 2.6571 0.7347 -4.6425  0.1187
H 1.2215 -0.0239 -5.2836  0.1043
H -0.5997 -0.3079 -3.9747  0.0877
H -0.8366 1.2441 -3.1042  0.0691
H -0.3613 -0.1960 -2.2216  0.0645
C -5.3288 -5.1636 1.3359  -0.1157
O -5.2210 -3.7885 0.9881  -0.1972
C -5.7611 -2.9040 1.9772  -0.2052
C -4.6392 -2.1462 2.7062  -0.2049
N -3.8669 -3.0380 3.5767  -0.0595
C -2.6077 -2.4602 4.0595  -0.1886
C -1.5575 -2.0385 3.0092  -0.2112
O -0.9561 -3.1322 2.3094  -0.1826
C -1.7320 -3.6368 1.2322  -0.0989
H -5.0999 -5.7583 0.4477  0.0886
H -4.6100 -5.4278 2.1148  0.0712
H -6.3409 -5.4122 1.6635  0.0832
H -6.4202 -3.4245 2.6823  0.1170
H -6.3733 -2.1733 1.4371  0.1170
H -5.0781 -1.3449 3.3111  0.1212
H -4.0055 -1.6893 1.9418  0.1000
H -3.6474 -3.8910 3.0688  0.0620
H -2.1490 -3.2183 4.7053  0.1162
H -2.8389 -1.6013 4.7013  0.1168
H -0.7394 -1.5541 3.5536  0.1144
H -1.9336 -1.2855 2.3090  0.0985
H -2.3027 -2.8556 0.7250  0.0900
H -2.3878 -4.4269 1.5887  0.0612
H -1.0507 -4.0910 0.5034  0.0900

* frontier orbital gap: 6.7173 eV
* charge: -1